Data.
No. 1
The following is a quantum chemistry calculation of one molecule with the formula C5H11NO, from the Open Molecules 2025 dataset.

## Properties
* HOMO-LUMO gap: 10.1 eV
* HOMO energy: -0.3388 Eh
* SMILES string: C=CC[C@H](N)CO
* E: -327.059969 Ha
* relative energy (zero: lowest compared OMol25 entry of this formula, charge and spin): 44.8 kcal/mol

Each atom is followed by the atoms it is bonded to, with distances in Å.
Cartesian coordinates (Å):
1 C 0.361 1.017 -2.168  C2 1.318, H8 1.087, H9 1.088
2 C -0.545 0.105 -1.883  C1 1.318, C3 1.494, H10 1.087
3 C -0.697 -0.716 -0.644  C2 1.494, C4 1.519, H11 1.093, H12 1.098
4 C 0.331 -0.538 0.460  C3 1.519, N5 1.463, C6 1.539, H13 1.085
5 N 0.381 -1.742 1.290  C4 1.463, H14 1.010, H15 1.012
6 C -0.073 0.695 1.286  C4 1.539, O7 1.409, H16 1.090, H17 1.096
7 O 0.969 1.229 2.069  C6 1.409, H18 0.962
8 H 0.570 1.455 -3.141  C1 1.087
9 H 1.197 1.276 -1.521  C1 1.088
10 H -1.302 -0.144 -2.622  C2 1.087
11 H -0.696 -1.772 -0.925  C3 1.093
12 H -1.703 -0.538 -0.240  C3 1.098
13 H 1.309 -0.399 0.010  C4 1.085
14 H 0.539 -1.513 2.261  N5 1.010
15 H -0.482 -2.270 1.253  N5 1.012
16 H -0.619 1.469 0.747  C6 1.090
17 H -0.797 0.288 2.001  C6 1.096
18 H 1.257 2.096 1.768  O7 0.962



No. 2
The following is a quantum chemistry calculation of a 2-piece molecular cluster, C8H9N2O3 overall, from the Open Molecules 2025 dataset.

## Properties
* HOMO-LUMO gap: 8.6 eV
* HOMO energy: -0.5182 Eh
* E: -645.032968 Ha
* net charge: +1
* relative energy (zero: lowest compared OMol25 entry of this formula, charge and spin): 6.6 kcal/mol

Each atom is followed by the atoms it is bonded to, with distances in Å.
Cartesian coordinates (Å):
1 C -1.785 0.961 -0.151  C4 1.347, C5 1.415, H14 1.077
2 C 0.515 1.061 0.293  C4 1.332, C6 1.410, H15 1.131
3 C -0.589 -1.058 0.501  C5 1.398, C6 1.391, H16 1.041
4 C -0.632 1.649 -0.047  C1 1.347, C2 1.332, C8 1.519
5 C -1.781 -0.426 0.132  C1 1.415, C3 1.398, N9 1.474
6 C 0.591 -0.323 0.552  C2 1.410, C3 1.391, N10 1.327
7 C 2.603 -1.641 1.185  N10 1.175, H18 1.020
8 C -0.614 3.152 -0.261  C4 1.519, H19 1.070, H20 1.006, H21 1.160
9 N -3.027 -1.207 0.226  C5 1.474, O11 1.203, O12 1.199
10 N 1.740 -0.914 0.855  C6 1.327, C7 1.175
11 O -4.053 -0.677 -0.112  N9 1.203
12 O -2.987 -2.295 0.727  N9 1.199
13 O 3.405 -2.750 -1.234  H17 0.987, H22 0.934
14 H -2.678 1.458 -0.492  C1 1.077
15 H 1.462 1.645 0.091  C2 1.131
16 H -0.567 -2.077 0.712  C3 1.041
17 H 3.211 -1.835 -1.549  O13 0.987
18 H 3.473 -2.172 1.204  C7 1.020
19 H -0.675 3.408 0.776  C8 1.070
20 H 0.245 3.535 -0.619  C8 1.006
21 H -1.546 3.638 -0.751  C8 1.160
22 H 3.689 -3.133 -2.038  O13 0.934



No. 3
The following is a quantum chemistry calculation of one molecule with the formula C3H2ClNO, from the Open Molecules 2025 dataset.

## Properties
* HOMO-LUMO gap: 10.9 eV
* HOMO energy: -0.4141 Eh
* SMILES string: N#CC(=O)CCl
* E: -705.640555 Ha
* relative energy (zero: lowest compared OMol25 entry of this formula, charge and spin): 27.3 kcal/mol

Each atom is followed by the atoms it is bonded to, with distances in Å.
Cartesian coordinates (Å):
1 N 1.683 -1.168 2.426  C2 1.177
2 C 1.038 -0.792 1.516  N1 1.177, C3 1.489
3 C 0.335 -0.518 0.232  C2 1.489, O4 1.172, C5 1.523
4 O 0.896 -0.998 -0.679  C3 1.172
5 C -0.777 0.519 0.141  C3 1.523, Cl6 1.759, H7 1.260, H8 1.083
6 Cl -1.218 1.152 -1.439  C5 1.759
7 H -0.192 1.274 0.961  C5 1.260
8 H -1.628 0.046 0.615  C5 1.083



No. 4
The following is a quantum chemistry calculation of a 2-piece molecular cluster, C4H11N2O2 overall, from the Open Molecules 2025 dataset.

## Properties
* HOMO-LUMO gap: 8.4 eV
* HOMO energy: -0.1545 Eh
* E: -419.067032 Ha
* net charge: -1
* relative energy (zero: lowest compared OMol25 entry of this formula, charge and spin): 15.1 kcal/mol

To do.
Now count the lines above that contain the word "C8H9N2O3" and give the number alone.

Worked solution.
1